• Work order:
What is needed: give back every line further down that contains the word "calculation".

• Source:
Material: CuSnPdAu
Method: DFT, PBE
State: optimized geometry

```
CuSnPdAu
1.0
0.000 3.234 3.234
3.234 0.000 3.234
3.234 3.234 0.000
Cu Sn Pd Au
1 1 1 1
Direct
0.000 0.000 0.000
0.750 0.750 0.750
0.500 0.500 0.500
0.250 0.250 0.250
```

Values from the calculation:

• Worked solution:
Values from the calculation: